Reflections on a Pandemic Year
Eric Goldman
Law Professor
Despite increasingly ominous news reports, work proceeded normally in January and February 2020. For example, in early February 2020, the law school held a major in-person conference called WIPIP with 80+ attendees.
Things changed dramatically by early March. On March 9, 2020, I nervously flew to Washington D.C. for a conference presentation. Only about 25% of the conference registrants attended, and attendees felt uncomfortable being in each other’s presence. I was so distraught about the contagion risks that, after flying home March 10, we immediately pulled our kids from in-person school (the schools transitioned to remote learning a few days later).
How the pandemic shutdown has affected me:
Working at Home. It took a few months to adjust to working exclusively at home. I needed better A/V equipment, a faster Internet connection, and a more ergonomic setup, and addressing those issues drained my productivity. Also, my kids and wife don’t respect my workspace boundaries, leading to multiple interruptions throughout the day. I save some commute time, but I have no clear division between work and personal time. As a result, I worked most waking hours for a year without a single day off (until a short vacation in early April 2021). It was exhausting.
Teaching. Transitioning to online teaching was hard. I spent dozens of hours during summer 2020 learning how to teach online, then dozens more hours adapting my class (which I had taught 23x before) for the online format. Actually teaching the class online took 2-3x as much time than an in-person class would have required. While teaching online, I constantly worry that some technology will critically fail mid-class/mid-lecture. Overall, online teaching is time-consuming and exhausting.
Someone pasted calculated crystals at this point >
********
(1)
For Sm2Dy2Mg, DFT lattice parameters and positions (PBE) gives the computed powder XRD pattern in this record (a wavelength of 1.5418 Å).
No peak broadening, texture or thermal motion is included.

Principal peaks in the range 10° ≤ 2θ ≤ 90°, in order of falling intensity:
- 2θ 31.15, I = 100.0
- 2θ 35.16, I = 37.0
- 2θ 60.60, I = 30.0
- 2θ 52.72, I = 21.5
- 2θ 37.98, I = 13.8
- 2θ 50.57, I = 13.2
- 2θ 27.16, I = 11.6
- 2θ 64.96, I = 11.4

Unit cell a=12.118 b=12.118 c=12.118 alpha=162.87 beta=162.87 gamma=24.32
Sites, in units of the cell vectors:
Sm 0.094 0.094 0.000
Sm 0.906 0.906 0.000
Dy 0.302 0.302 0.000
Dy 0.698 0.698 0.000
Mg 0.500 0.500 0.000

***

(2)
For Sm4Dy4Mg, DFT lattice parameters and positions (PBE) gives the computed powder XRD pattern in this record (a wavelength of 1.5418 Å).
No peak broadening, texture or thermal motion is included.

Principal peaks in the range 10° ≤ 2θ ≤ 90°, in order of falling intensity:
- 2θ 30.85, I = 100.0
- 2θ 35.85, I = 33.5
- 2θ 61.35, I = 28.3
- 2θ 51.44, I = 24.0
- 2θ 35.62, I = 17.1
- 2θ 61.04, I = 14.4
- 2θ 64.28, I = 12.3
- 2θ 51.61, I = 11.9

Unit cell a=7.925 b=7.925 c=7.925 alpha=95.80 beta=95.80 gamma=142.91
Sites, in units of the cell vectors:
Sm 0.166 0.166 0.332
Sm 0.166 0.834 0.000
Sm 0.834 0.166 0.000
Sm 0.834 0.834 0.668
Dy 0.166 0.500 0.666
Dy 0.500 0.166 0.666
Dy 0.500 0.834 0.334
Dy 0.834 0.500 0.334
Mg 0.500 0.500 0.000

***

(3)
For SmDyMg5, DFT lattice parameters and positions (PBE) gives the computed powder XRD pattern in this record (a wavelength of 1.5418 Å).
No peak broadening, texture or thermal motion is included.

Principal peaks in the range 10° ≤ 2θ ≤ 90°, in order of falling intensity:
- 2θ 19.02, I = 100.0
- 2θ 25.57, I = 69.4
- 2θ 34.14, I = 62.9
- 2θ 35.21, I = 54.8
- 2θ 32.35, I = 50.1
- 2θ 18.25, I = 48.1
- 2θ 33.69, I = 34.4
- 2θ 36.99, I = 22.0

Unit cell a=5.811 b=5.811 c=6.639 alpha=100.76 beta=100.76 gamma=113.55
Sites, in units of the cell vectors:
Sm 0.000 0.000 0.000
Dy 0.500 0.500 0.500
Mg 0.000 0.000 0.500
Mg 0.085 0.508 0.774
Mg 0.492 0.915 0.226
Mg 0.508 0.085 0.774
Mg 0.915 0.492 0.226

***

(4)
For SmDy2Mg, DFT lattice parameters and positions (PBE) gives the computed powder XRD pattern in this record (a wavelength of 1.5418 Å).
No peak broadening, texture or thermal motion is included.

Principal peaks in the range 10° ≤ 2θ ≤ 90°, in order of falling intensity:
- 2θ 31.50, I = 100.0
- 2θ 35.01, I = 39.4
- 2θ 60.61, I = 30.9
- 2θ 53.74, I = 19.5
- 2θ 26.45, I = 17.9
- 2θ 50.35, I = 14.1
- 2θ 39.43, I = 12.0
- 2θ 65.77, I = 10.6

Unit cell a=3.625 b=3.625 c=9.140 alpha=90.00 beta=90.00 gamma=90.00
Sites, in units of the cell vectors:
Sm 0.000 0.000 0.000
Dy 0.500 0.500 0.270
Dy 0.500 0.500 0.730
Mg 0.000 0.000 0.500

***

(5)
For Sm6DyMg2, DFT lattice parameters and positions (PBE) gives the computed powder XRD pattern in this record (a wavelength of 1.5418 Å).
No peak broadening, texture or thermal motion is included.
********
So much for the calculated crystals >
Conference Presentations/Traveling. Pre-pandemic, I gave about 40 talks/year and flew about 2x/month (about 75,000 air miles/year). I haven’t been on a plane since March 10, 2020, which has saved me a lot of travel time. Nevertheless, because I can easily make remote appearances, I’ve done more public talks than ever—30 in the first four months of 2021 (over 2x/week).
Personally. My family has been remarkably privileged during the pandemic. Our house is big enough to accommodate us all, no one got the virus, I have job security, I thrived professionally, and my kids have done well academically. Yet, my family and I have “lost” little things due to the shutdown—such as my daughter’s 8th grade graduation, my son’s tour of prospective colleges, in-person holiday celebrations (Zoom gatherings aren’t the same), and scheduled vacations to Bali, Kenya, Hawaii, and more. Collectively, these losses diminished our lives. Most of all, we miss the in-person interactions that remain so vital to building strong relationships.